Enhanced section views creation
Crystal structures, as found in the file:
____________
DFT (GGA+U) results for crystalline Li2FeP4H16O20 at its relaxed geometry.

Calculated values
- raw total energy (eV/atom) = -5.84

Cell lengths 7.1369, 10.6487, 10.9573 Å; angles 90.00, 100.65, 90.00 degrees
With the nearest neighbours (Å) after each atom.
Element x y z (fractional)
H 0.0789 0.2867 0.7167  1 O 1.03
H 0.5789 0.2133 0.2167  1 O 1.03
O 0.5835 0.1471 0.5851  1 H 1.04
Fe 0.5000 0.5000 0.5000  6 O 2.11-2.21
P 0.2336 0.7667 0.4123  4 O 1.52-1.59
P 0.7354 0.5456 0.2778  4 O 1.52-1.60
H 0.4211 0.7867 0.7833  1 O 1.03
O 0.3691 0.2452 0.2222  1 P 1.54, 2 H 1.55-1.70
O 0.7902 0.6896 0.3028  1 H 1.03
H 0.3593 0.5498 0.1858  1 O 1.00
O 0.7614 0.4279 0.8727  2 H 1.00
H 0.3731 0.9448 0.3955  1 O 1.04
H 0.8551 0.5983 0.6012  1 O 0.99
H 0.8061 0.1700 0.8447  1 O 1.00
H 0.8269 0.4133 0.4292  1 O 1.02
H 0.1547 0.9008 0.5508  1 O 1.06
P 0.7664 0.2333 0.5877  4 O 1.52-1.59
O 0.5402 0.5286 0.3131  1 P 1.52
O 0.2969 0.6465 0.4831  1 P 1.52, 1 H 1.56
O 0.7476 0.5112 0.1444  1 H 1.46, 1 P 1.52
H 0.3200 0.1319 0.3205  1 O 1.00
O 0.4165 0.8529 0.4149  1 H 1.04
H 0.3061 0.3300 0.3447  1 O 1.00
O 0.2098 0.3104 0.6972  1 H 1.03
O 0.8895 0.4631 0.3674  1 H 1.02
H 0.6269 0.0552 0.6045  1 O 1.04
O 0.6105 0.9631 0.1326  1 H 1.02
H 0.3453 0.4008 0.9492  1 O 1.06
O 0.3895 0.0369 0.8674  1 H 1.02
O 0.7733 0.1351 0.9225  2 H 0.99-1.00
O 0.7386 0.9279 0.6273  2 H 1.00
P 0.2354 0.9544 0.7778  4 O 1.52-1.60
H 0.1449 0.4017 0.3988  1 O 0.99
O 0.2524 0.4888 0.8556  1 H 1.46, 1 P 1.52
O 0.7031 0.3535 0.5169  1 P 1.52, 1 H 1.56
O 0.5890 0.6591 0.9786  1 H 1.06
H 0.1731 0.5867 0.5708  1 O 1.02
O 0.2614 0.0721 0.3727  2 H 1.00
O 0.1309 0.7452 0.2778  1 P 1.54, 2 H 1.55-1.70
O 0.7267 0.6351 0.5775  2 H 0.99-1.00
H 0.1407 0.0498 0.3142  1 O 1.00
H 0.3551 0.9017 0.1012  1 O 0.99
H 0.3269 0.0867 0.9292  1 O 1.02
H 0.6731 0.9133 0.0708  1 O 1.02
P 0.7336 0.7333 0.9123  4 O 1.52-1.59
O 0.2902 0.8104 0.8028  1 H 1.03
H 0.8731 0.5552 0.8955  1 O 1.04
O 0.9165 0.6471 0.9149  1 H 1.04
Li 0.2415 0.6577 0.9471  3 O 2.07-2.28
O 0.2031 0.1465 0.0169  1 P 1.52, 1 H 1.56
O 0.2476 0.9888 0.6444  1 H 1.46, 1 P 1.52
Li 0.7415 0.8423 0.4471  3 O 2.07-2.28
O 0.2733 0.3649 0.4225  2 H 0.99-1.00
O 0.4598 0.4714 0.6869  1 P 1.52
H 0.1269 0.4448 0.1045  1 O 1.04
O 0.7524 0.0112 0.3556  1 H 1.46, 1 P 1.52
P 0.2646 0.4544 0.7222  4 O 1.52-1.60
H 0.6449 0.0983 0.8988  1 O 0.99
H 0.6939 0.6700 0.6553  1 O 1.00
H 0.9211 0.7133 0.2833  1 O 1.03
O 0.8691 0.2548 0.7222  1 P 1.54, 2 H 1.55-1.70
H 0.8200 0.3681 0.8205  1 O 1.00
O 0.1105 0.5369 0.6326  1 H 1.02
P 0.2664 0.2667 0.0877  4 O 1.52-1.59
H 0.8453 0.0992 0.4492  1 O 1.06
Li 0.7585 0.3423 0.0529  3 O 2.07-2.28
O 0.0402 0.9714 0.8131  1 P 1.52
O 0.0835 0.3529 0.0851  1 H 1.04
O 0.7098 0.1896 0.1972  1 H 1.03
O 0.9598 0.0286 0.1869  1 P 1.52
O 0.9110 0.1591 0.5214  1 H 1.06
O 0.2267 0.8649 0.0775  2 H 0.99-1.00
Fe 0.0000 0.0000 0.0000  6 O 2.11-2.21
H 0.1800 0.6319 0.1795  1 O 1.00
H 0.6800 0.8681 0.6795  1 O 1.00
____________
The crystal structures stop here:
(Digitally signed)
Easily arrange Autodesk® Civil 3D® section views for a compacted layout
Section view creation in Autodesk® Civil 3D® is quite complicated with lots of parameters. Section views elevation range is hard to control & plot pages often leave large blanks.
This App will help ease the section view task by adding the following features:
Flexible section views arrangement: Number of section views per row/ column is fixed by users
New method for determining elevation range: Elevation range is now implicitly set through the minimum distance below & above sections
Configuration saved to file: Previous session parameters are auto saved on Exit, and manually Reload if needed
Enhanced style setting table: Section name replaced by Section source name, also a source type column is added for clarification
Know more about Individual section views
App creates Individual section views, NOT section view group. The following pros & cons of individual section views created by this App should be aware of:
Each section view can be manually moved to another position. Position not changed after an update event (eg: annotation scale changed, nearby section view deleted);
Elevation range is implicitly calculated for each section view & recalibration for a section view row; which can minimize blanks & save plot paper;
Section views offset range should not be less than the left & right Offset value of sample lines;
When annotation scale change, section views should be deleted and re-created;
Section view bandset cannot be replaced after creation (a critical error will occur if doing so).
General usage instructions:
The procedures of section views creation, in brief, can be divided into 5 steps:
Select alignment, sample line group & sample lines to draw section views;
Set the number of section views per page, row & column gap, paper size;
Set the minimum distance above and below each section view's sections;
Set the label set and section style/ code set style for sections;
Set the section view bandset;
Click "Draw individual section views" to see results.
Previous settings are saved on exit & can be reloaded by "Reload last state" button
Additional information
This App is written for METRIC drawing. Imperial drawing may make use of this App, but the result may be unexpected
This App works with Autodesk Civil 3D 64-bit versions 2016 and above.
Section views created a group in Individual section views category. Do NOT change section view Band set after created.
The maximum total number of individual section views for each alignment that can created by this App is limited at 380 items, including duplicated ones. If users want to create more section views, it is recommended to use Datashortcut & divide the section views into 2 or more files to minimize performance penalty.
More features on the way:
Automatically insert Title block references and create sheet layout for plotting (in progress...);
Automatically add sample line stations as corridor frequencies to remove minor deviations at surface intersection points (in progress...);
Hide band set title from the second section view column to save more space (in progress...);
Unrelated to this entry: materials data:
/*
(one)
## KNbTePdI (PBE-GGA)

Data for KNbTePdI after structural relaxation.

a b c (Å): 4.186 4.186 28.630
angles (deg): 90.00 90.00 120.00
Positions (direct):
Nb: 0.667 0.333 0.937
Te: 0.333 0.667 0.176
Te: 0.000 0.000 0.509
Te: 0.667 0.333 0.842
I: 0.000 0.000 0.000
I: 0.667 0.333 0.333
Nb: 0.333 0.667 0.270
K: 0.000 0.000 0.759
Pd: 0.667 0.333 0.563
I: 0.333 0.667 0.667
K: 0.667 0.333 0.092
Pd: 0.333 0.667 0.896
K: 0.333 0.667 0.426
Nb: 0.000 0.000 0.604
Pd: 0.000 0.000 0.229

**Space-group type**: No. 160

(two)
## KNbTePdI (PBE-GGA)

Data for KNbTePdI after structural relaxation.

a b c (Å): 4.138 4.138 9.691
angles (deg): 90.00 90.00 120.00
Positions (direct):
K: 0.333 0.667 0.489
Pd: 0.333 0.667 0.949
Te: 0.667 0.333 0.232
Nb: 0.000 0.000 0.061
I: 0.000 0.000 0.749

**Space-group type**: No. 156

If we sort the structures by their calculated energies, the order from most to least stable is (two), (one).

(one)
## KNbSbI2 (PBE-GGA)

Data for KNbSbI2 after structural relaxation.

a b c (Å): 5.891 5.891 5.384
angles (deg): 90.00 90.00 90.00
Positions (direct):
Sb: 0.000 0.000 0.500
Nb: 0.000 0.000 0.000
K: 0.500 0.500 0.500
I: 0.500 0.000 0.000
I: 0.000 0.500 0.000

**Space-group type**: No. 123

(two)
## KNbSbI2 (PBE-GGA)

Data for KNbSbI2 after structural relaxation.

a b c (Å): 6.174 6.174 6.301
angles (deg): 90.00 90.00 90.00
Positions (direct):
I: 0.000 0.500 0.000
Nb: 0.500 0.500 0.500
I: 0.500 0.000 0.000
K: 0.000 0.000 0.000
Sb: 0.000 0.000 0.500

**Space-group type**: No. 123

If we sort the structures by their calculated energies, the order from most to least stable is (one), (two).

(one)
## K3NdI6 (PBE-GGA)

Data for K3NdI6 after structural relaxation.

a b c (Å): 8.465 9.137 12.310
angles (deg): 90.00 89.02 90.00
Positions (direct):
K: 0.500 0.500 0.000
I: 0.857 0.946 0.234
I: 0.701 0.178 0.935
Nd: 0.500 0.500 0.500
K: 0.962 0.408 0.744
Nd: 0.000 0.000 0.000
I: 0.836 0.710 0.923
K: 0.538 0.908 0.756
I: 0.799 0.678 0.565
I: 0.357 0.554 0.734
I: 0.664 0.210 0.577
K: 0.462 0.092 0.244
K: 0.000 0.000 0.500
I: 0.143 0.054 0.766
I: 0.643 0.446 0.266
I: 0.201 0.322 0.435
I: 0.336 0.790 0.423
I: 0.299 0.822 0.065
I: 0.164 0.290 0.077
K: 0.038 0.592 0.256

**Space-group type**: No. 14

(two)
## K3NdI6 (PBE-GGA)

Data for K3NdI6 after structural relaxation.

a b c (Å): 9.119 9.119 9.119
angles (deg): 60.00 60.00 60.00
Positions (direct):
I: 0.240 0.240 0.760
I: 0.760 0.760 0.240
I: 0.760 0.240 0.240
I: 0.760 0.240 0.760
K: 0.750 0.750 0.750
I: 0.240 0.760 0.240
Nd: 0.000 0.000 0.000
I: 0.240 0.760 0.760
K: 0.500 0.500 0.500
K: 0.250 0.250 0.250

**Space-group type**: No. 225

If we sort the structures by their calculated energies, the order from most to least stable is (one), (two).

(one)
## K2RbNdI6 (PBE-GGA)

Data for K2RbNdI6 after structural relaxation.

a b c (Å): 8.822 8.823 9.288
angles (deg): 61.65 61.65 60.00
Positions (direct):
I: 0.689 0.130 0.773
I: 0.567 0.222 0.243
K: 0.525 0.524 0.427
I: 0.969 0.567 0.243
*/
Save/ Load configuration file manually to disk (in progress...);
Support Imperial scale and paper size (considering...);
Download links from Autodesk App Store:
Beta update V1.0.5
Download from Autodesk App Store V1.2.0
App is digitally signed.